Atos to Deliver its ‘AION’ Supercomputer to the University of Luxembourg

PARIS, France, Jan. 7, 2020 — Atos, a global leader in digital transformation, has signed a four-year contract to supply its BullSequana XH2000 supercomputer, to the University of Luxembourg, renowned European university and international leader in research. The supercomputer, named as ‘AION’, will allow the university to further accelerate research and to face global competition, by achieving cutting-edge results.

'''
This entry pairs a crystal structure of KCdGeAs2 with its theoretical powder diffractogram. Radiation: CuKα. Structure: DFT lattice parameters and positions (GGA-PBE).

Main lines, low angle first (10° ≤ 2θ ≤ 80°):
2θ = 11.4°, I = 100, (1 0 0); 2θ = 27.4°, I = 15, (1 -2 0); 2θ = 27.7°, I = 14, (2 -1 0); 2θ = 28.8°, I = 25, (2 2 2); 2θ = 29.9°, I = 34, (1 1 -2); 2θ = 32.6°, I = 11, (0 3 1); 2θ = 33.9°, I = 14, (0 3 0); 2θ = 34.8°, I = 18, (2 -1 2); 2θ = 40.9°, I = 19, (1 1 4); 2θ = 44.4°, I = 11, (3 0 -2)

Structural model:
Unit cell a=8.2444 b=8.6120 c=8.8691 alpha=70.76 beta=75.33 gamma=73.35
Space group P-1 (No. 2)
Unique sites:
K: 0.0421 0.2352 0.1774
K: 0.0584 0.1976 0.6898
Cd: 0.4723 0.8234 0.6673
Cd: 0.4939 0.8975 0.1864
Ge: 0.3431 0.5511 0.5256
Ge: 0.4564 0.5859 0.0986
As: 0.2558 0.4472 0.3327
As: 0.2609 0.8667 0.4642
As: 0.2754 0.4070 0.8194
As: 0.2993 0.8720 0.9633

=====

This entry pairs a crystal structure of Nd2Dy5 with its simulated powder diffraction line list. Radiation: a wavelength of 1.5418 Å. Structure: a crystal structure in Alexandria, relaxed with PBE.
No peak broadening, texture or thermal motion is included.

Most intense lines, 10° ≤ 2θ ≤ 90°, low angle first:
d/Å	I (rel.)
3.159	24
2.862	24
2.765	100
2.121	16
1.823	13
1.633	14
1.538	23
1.522	16
1.217	8
1.169	9

Structural model:
```
Nd2Dy5
1.0
7.923 -3.156 0.000
7.923 3.156 0.000
-0.910 0.000 9.228
Nd Dy
4 10
Cartesian
5.959 2.098 8.237 Nd
8.521 2.098 5.605 Nd
6.415 -2.098 3.623 Nd
8.977 -2.098 0.991 Nd
2.646 1.053 7.579 Dy
5.141 1.040 4.936 Dy
7.696 1.040 2.307 Dy
3.101 -1.053 2.965 Dy
9.340 1.040 8.905 Dy
5.596 -1.040 0.322 Dy
11.835 1.053 6.263 Dy
7.240 -1.040 6.921 Dy
9.795 -1.040 4.292 Dy
12.290 -1.053 1.649 Dy
```

This entry pairs a crystal structure of Tb8TmSc3 with its simulated powder diffraction line list. Radiation: a wavelength of 1.5418 Å. Structure: a crystal structure in Alexandria, relaxed with PBE.
No peak broadening, texture or thermal motion is included.

Most intense lines, 10° ≤ 2θ ≤ 90°, low angle first:
d/Å	I (rel.)
3.457	16
2.896	40
2.792	67
2.777	61
2.760	64
2.700	100
2.670	20
2.066	16
1.948	13
1.873	17

Structural model:
```
Tb8TmSc3
1.0
5.802 0.000 0.000
2.665 8.008 0.000
2.411 2.940 7.795
Tb Tm Sc
8 1 3
Cartesian
0.000 0.000 0.000 Tb
3.036 6.927 3.281 Tb
2.498 4.275 1.144 Tb
3.275 3.631 4.459 Tb
2.673 1.048 2.292 Tb
5.725 7.936 5.573 Tb
5.417 6.111 0.673 Tb
8.799 9.849 5.093 Tb
8.417 6.232 6.587 Tm
5.457 4.614 6.859 Sc
6.172 5.134 3.806 Sc
5.400 2.752 1.950 Sc
```

This entry pairs a crystal structure of Ag2BiBr6 with its simulated powder diffraction line list. Radiation: a wavelength of 1.5418 Å. Structure: a crystal structure in Alexandria, relaxed with PBE.
No peak broadening, texture or thermal motion is included.

Most intense lines, 10° ≤ 2θ ≤ 90°, low angle first:
d/Å	I (rel.)
6.708	62
3.162	100
2.449	65
2.070	36
1.978	17
1.897	27
1.732	17
1.581	16
1.303	15
1.256	20

Structural model:
```
Ag2BiBr6
1.0
7.171 0.000 0.000
'''

The Bull­Se­qua­na XH2000 super­com­pu­ter will give rese­ar­chers 1.5 times more com­pu­ting capa­ci­ty than pre­vious­ly, with a theo­re­ti­cal peak per­for­mance of 1.7 peta­flops which will com­ple­ment the exis­ting super­com­pu­ting clus­ter. It will be equip­ped with AMD EPYC™ pro­ces­sors and Mel­lan­ox Infi­ni­Band HDR tech­no­lo­gy, con­nec­ted to a DDN sto­rage environment.

The new super­com­pu­ter will be used by the Uni­ver­si­ty and its Euro­pean and inter­na­tio­nal part­ners to acce­le­ra­te the rese­arch per­for­med in inten­si­ve com­pu­ting and lar­ge-sca­le Big Data ana­ly­tics. This includes cut­ting-edge deve­lo­p­ments for rese­arch in various domains such as par­tic­le phy­sics, mate­ri­al sci­en­ces, theo­re­ti­cal che­mis­try, earth sci­en­ces, nume­ri­cal wea­ther pre­dic­tion, astro­phy­sics, cryp­to­lo­gy, arti­fi­ci­al intel­li­gence, and eco­no­mic­al simulations.

# 1
Theoretical X-ray diffraction stick pattern of PrCrN2 for Cu Kα X-rays, from a PBE-relaxed structure.
Neutral-atom scattering factors, no anomalous dispersion.

Unit cell a=6.294 b=6.294 c=7.189 alpha=90.00 beta=90.00 gamma=130.76
Sites, in units of the cell vectors:
Pr  0.170  0.830  0.920
Pr  0.330  0.670  0.420
Pr  0.670  0.330  0.580
Pr  0.830  0.170  0.080
Cr  0.063  0.937  0.350
Cr  0.437  0.563  0.850
Cr  0.563  0.437  0.150
Cr  0.937  0.063  0.650
N  0.089  0.411  0.750
N  0.104  0.896  0.598
N  0.396  0.604  0.098
N  0.411  0.089  0.250
N  0.589  0.911  0.750
N  0.604  0.396  0.902
N  0.896  0.104  0.402
N  0.911  0.589  0.250

Top 10 peaks for 2θ = 10–90°, by angle:
- 2θ = 31.16°, intensity 81
- 2θ = 31.56°, intensity 100
- 2θ = 33.72°, intensity 20
- 2θ = 34.20°, intensity 45
- 2θ = 40.82°, intensity 25
- 2θ = 45.02°, intensity 19
- 2θ = 48.79°, intensity 20
- 2θ = 49.62°, intensity 18
- 2θ = 59.58°, intensity 18
- 2θ = 65.18°, intensity 17

# 2
Theoretical X-ray diffraction stick pattern of AcCuTcGe3 for Cu Kα X-rays, from a PBE-relaxed structure.
Neutral-atom scattering factors, no anomalous dispersion.

Unit cell a=7.419 b=7.419 c=6.075 alpha=90.00 beta=90.00 gamma=128.43
Sites, in units of the cell vectors:
Ac  0.226  0.774  0.750
Ac  0.774  0.226  0.250
Cu  0.115  0.885  0.250
Cu  0.885  0.115  0.750
Tc  0.460  0.540  0.250
Tc  0.540  0.460  0.750
Ge  0.201  0.201  0.000
Ge  0.201  0.201  0.500
Ge  0.285  0.715  0.250
Ge  0.715  0.285  0.750
Ge  0.799  0.799  0.000
Ge  0.799  0.799  0.500

Top 10 peaks for 2θ = 10–90°, by angle:
- 2θ = 26.69°, intensity 56
- 2θ = 27.64°, intensity 45
- 2θ = 28.44°, intensity 100
- 2θ = 29.40°, intensity 33
- 2θ = 30.77°, intensity 54
- 2θ = 32.38°, intensity 56
- 2θ = 40.79°, intensity 95
- 2θ = 43.27°, intensity 39
- 2θ = 49.40°, intensity 58
- 2θ = 52.13°, intensity 51

# 3
Theoretical X-ray diffraction stick pattern of GaBi5 for Cu Kα X-rays, from a PBE-relaxed structure.
Neutral-atom scattering factors, no anomalous dispersion.

Unit cell a=8.959 b=8.959 c=5.138 alpha=90.00 beta=90.00 gamma=153.35
Sites, in units of the cell vectors:
Ga  0.000  0.000  0.000
Bi  0.178  0.822  0.500
Bi  0.366  0.634  0.000
Bi  0.500  0.500  0.500
Bi  0.634  0.366  0.000
Bi  0.822  0.178  0.500

Top 10 peaks for 2θ = 10–90°, by angle:
- 2θ = 26.82°, intensity 14
- 2θ = 30.77°, intensity 17
- 2θ = 31.78°, intensity 100
- 2θ = 34.93°, intensity 23
- 2θ = 43.85°, intensity 12
- 2θ = 47.23°, intensity 10
- 2θ = 52.15°, intensity 9
- 2θ = 57.25°, intensity 11
- 2θ = 60.67°, intensity 16
- 2θ = 73.01°, intensity 10

# 4
Theoretical X-ray diffraction stick pattern of CsRb3In for Cu Kα X-rays, from a PBE-relaxed structure.
Neutral-atom scattering factors, no anomalous dispersion.

Unit cell a=5.212 b=15.758 c=15.758 alpha=142.57 beta=90.00 gamma=90.00
Sites, in units of the cell vectors:
Cs  0.250  0.072  0.928
Cs  0.750  0.928  0.072
Rb  0.250  0.117  0.444
Rb  0.250  0.560  0.964
Rb  0.250  0.599  0.463
So much for the calculated crystals:

One of the key reasons Atos was sel­ec­ted for this con­tract was due to our Bull­Se­qua­na XH2000’s high­ly-effi­ci­ent water-coo­led Direct Liquid Coo­ling (DLC) solu­ti­on, which ensu­res opti­mum ener­gy-effi­ci­en­cy.” said Antoine Ker­rin­ckx, CEO Bel­gi­um and Luxem­bourg at Atos. “As the lea­ding Euro­pean super­com­pu­ter manu­fac­tu­rer, we’re proud to be con­tri­bu­ting to the com­pe­ti­ti­ve­ness of Luxem­bourg and to enable rese­ar­chers fur­ther acce­le­ra­te in their work.”

Modern rese­arch requi­res signi­fi­cant com­pu­ting power and gene­ra­tes lar­ge amounts of data – the­r­e­fo­re we nee­ded a HPC solu­ti­on which responds to our gro­wing need for increased com­pu­ting capa­ci­ty in order to increase our rese­arch capa­bi­li­ties and enable us to go bey­ond the limits of tra­di­tio­nal simu­la­ti­on.” said Dr. Sébas­tien Var­ret­te, co-lea­ding with Prof. Pas­cal Bou­vry the High Per­for­mance Com­pu­ting ser­vice at the Uni­ver­si­ty of Luxem­bourg. “With the release of the AION sys­tem, the glo­bal capa­ci­ty of the HPC infra­struc­tu­re pro­vi­ded within the Uni­ver­si­ty will be increased both in terms of com­pu­ting (tota­ling 2.8 Peta­Flops with both sys­tems) and shared sto­rage (up to 10 Peta­Bytes).  This con­so­li­da­tes the University’s ambi­ti­on to offer a cut­ting-edge rese­arch infra­struc­tu­re to Luxem­bourg public rese­arch and ser­ves as edge access to the upco­ming Luxem­bourg Melu­Xi­na super­com­pu­ter in the EURO-HPC context.”

Deli­very of the ‘AION’ super­com­pu­ter is expec­ted in Q1 2020.

-- Here the text breaks off for crystal structures --
Theoretical X-ray powder pattern of Mg14CrBO16 for Cu Kα (weighted mean of Kα1 and Kα2), from DFT lattice parameters and positions (GGA+U).
Lines closer than 0.1° are merged.

Peak list (8 most intense, 15° ≤ 2θ ≤ 90°, sorted by position)
2θ (°)	I_rel
23.35	7
31.50	5
36.53	11
42.44	100
61.57	56
73.72	5
73.85	2
77.64	17

Crystal structure
```
32
Lattice="8.527 0.000 0.000 0.000 8.527 0.000 0.000 0.000 4.254" Properties=species:S:1:pos:R:3 pbc="T T T"
Mg 0.000 2.108 0.000
Mg 0.000 4.263 2.127
Mg 0.000 6.419 0.000
Mg 2.097 2.097 2.127
Mg 2.097 6.430 2.127
Mg 2.108 0.000 0.000
Mg 2.121 4.263 0.000
Mg 4.263 0.000 2.127
Mg 4.263 2.121 0.000
Mg 4.263 6.406 0.000
Mg 6.406 4.263 0.000
Mg 6.419 0.000 0.000
Mg 6.430 2.097 2.127
Mg 6.430 6.430 2.127
Cr 4.263 4.263 2.127
B 0.000 0.000 2.127
O 0.000 0.000 0.000
O 0.000 2.184 2.127
O 0.000 4.263 0.000
O 0.000 6.343 2.127
O 2.128 2.128 0.000
O 2.128 6.398 0.000
O 2.142 4.263 2.127
O 2.184 0.000 2.127
O 4.263 0.000 0.000
O 4.263 2.142 2.127
O 4.263 4.263 0.000
O 4.263 6.384 2.127
O 6.343 0.000 2.127
O 6.384 4.263 2.127
O 6.398 2.128 0.000
O 6.398 6.398 0.000
```


# 1
Structure and computed PXRD pattern of BaAlCuSbO5 (a crystal structure in Alexandria, relaxed with GGA-PBE; Cu Kα (λ = 1.5418 Å)).
No peak broadening, texture or thermal motion is included.

Structure:
```
BaAlCuSbO5
1.0
-1.875 1.875 9.555
1.875 -1.875 9.555
1.875 1.875 -9.555
Ba Al Cu Sb O
1 1 1 1 5
Cartesian
0.000 0.000 0.000 Ba
0.000 0.000 6.884 Al
0.000 0.000 15.212 Cu
0.000 0.000 12.469 Sb
1.875 0.000 2.040 O
1.875 0.000 6.290 O
0.000 0.000 8.624 O
0.000 1.875 2.040 O
0.000 1.875 6.290 O
```

Main lines, sorted by position (2θ = 10–90°):
2θ = 24.19°, d = 3.679 Å, intensity 66
2θ = 27.61°, d = 3.231 Å, intensity 100
2θ = 28.01°, d = 3.185 Å, intensity 52
2θ = 33.48°, d = 2.676 Å, intensity 67
2θ = 33.81°, d = 2.651 Å, intensity 58
2θ = 44.46°, d = 2.038 Å, intensity 42
2θ = 48.57°, d = 1.875 Å, intensity 41
2θ = 49.32°, d = 1.848 Å, intensity 31
2θ = 56.78°, d = 1.621 Å, intensity 27
2θ = 57.00°, d = 1.616 Å, intensity 26

# 2
Structure and computed PXRD pattern of MnIr3Rh2 (a crystal structure in Alexandria, relaxed with GGA-PBE; Cu Kα (λ = 1.5418 Å)).
No peak broadening, texture or thermal motion is included.

Structure:
```
MnIr3Rh2
1.0
7.097 0.000 0.000
0.000 9.882 0.000
0.000 0.000 2.723
Mn Ir Rh
2 6 4
Cartesian
0.000 0.000 0.000 Mn
3.548 4.941 1.362 Mn
0.000 4.941 1.362 Ir
1.713 1.309 1.362 Ir
1.835 6.250 0.000 Ir
3.548 0.000 0.000 Ir
5.261 3.632 0.000 Ir
5.383 8.573 1.362 Ir
1.723 8.476 1.362 Rh
1.826 3.535 0.000 Rh
5.271 6.348 0.000 Rh
5.374 1.406 1.362 Rh
```

Main lines, sorted by position (2θ = 10–90°):
2θ = 21.92°, d = 4.055 Å, intensity 19
2θ = 25.10°, d = 3.548 Å, intensity 30
2θ = 31.03°, d = 2.882 Å, intensity 32
2θ = 42.85°, d = 2.111 Å, intensity 100
2θ = 43.10°, d = 2.099 Å, intensity 67
2θ = 44.70°, d = 2.028 Å, intensity 72
2θ = 51.52°, d = 1.774 Å, intensity 27
2θ = 69.36°, d = 1.355 Å, intensity 32

About Atos

Atos is a glo­bal lea­der in digi­tal trans­for­ma­ti­on with over 110,000 employees in 73 count­ries and annu­al reve­nue of over € 11 bil­li­on. Euro­pean num­ber one in Cloud, Cyber­se­cu­ri­ty and High-Per­for­mance Com­pu­ting, the Group pro­vi­des end-to-end Orchestra­ted Hybrid Cloud, Big Data, Busi­ness Appli­ca­ti­ons and Digi­tal Work­place solu­ti­ons. The group is the World­wi­de Infor­ma­ti­on Tech­no­lo­gy Part­ner for the Olym­pic & Para­lym­pic Games and ope­ra­tes under the brands Atos, Atos Syn­tel, and Uni­fy. Atos is a SE (Socie­tas Euro­paea), lis­ted on the CAC40 Paris stock index.